Neural network models
Different neural network architectures were used to compare their performance. The list below describes the different models used and the nodes in each layer.
- Input 784 - Hidden 50 - Output 10 using only numpy
- Input 784 - Hidden 800 - Output 10 using tensorflow
- Input 784 - Hidden 800 - Hidden 800 - Output 10 using tensorflow
Materials data that have nothing to do with the piece:
____________
i:
Compound: YAl2Br
Source: Alexandria
Functional: PBE-GGA
Structure: relaxed

Structure (POSCAR):
```
YAl2Br
1.0
-0.7134 -1.8921 -4.8386
4.5037 -2.5944 -0.6981
-3.2868 -0.5182 4.0534
Y Al Br
1 2 1
Cartesian
-1.0525 -2.3268 -1.7768
0.0000 0.0000 0.0000
1.5560 -2.6780 0.2935
1.8952 -2.2433 -2.7684
```

Results
- symmetry = I-4m2

ii:
Compound: YAl2Br
Source: Alexandria
Functional: PBE-GGA
Structure: relaxed

Structure (POSCAR):
```
YAl2Br
1.0
5.1128 0.0000 0.0000
0.0000 3.5489 0.0352
0.0000 3.4395 5.5011
Y Al Br
1 2 1
Cartesian
2.5564 5.2413 4.1522
0.0000 3.4467 5.4491
0.0000 3.4869 2.8202
2.5564 1.7471 1.3841
```

Results
- symmetry = P2/m

Least stable: i

i:
Compound: YAl2Br
Source: Alexandria
Functional: PBE-GGA
Structure: relaxed

Structure (POSCAR):
```
YAl2Br
1.0
-5.8019 3.8561 4.7752
-1.1546 -7.1394 4.3623
-1.4519 -0.8538 6.3946
Y Al Br
2 4 2
Cartesian
0.0000 0.0000 0.0000
-5.3660 0.6803 7.8693
-4.1203 1.2954 5.1176
-1.8230 -4.1848 4.9328
-3.7002 -1.8877 8.2324
-7.1732 -3.4970 12.7814
-3.4782 -1.6416 4.5688
-3.0424 -4.8174 7.6628
```

Results
- symmetry = I-42d

ii:
Compound: YAl2Br
Source: Alexandria
Functional: PBE-GGA
Structure: relaxed

Structure (POSCAR):
```
YAl2Br
1.0
5.2241 0.0000 0.0000
0.0000 5.2241 0.0000
0.0000 0.0000 3.5117
Y Al Br
1 2 1
Cartesian
0.0000 2.6120 1.7558
0.0000 0.0000 0.0000
2.6120 2.6120 0.0000
2.6120 0.0000 1.7558
```

Results
- symmetry = P4/mmm

iii:
Compound: YAl2Br
Source: Alexandria
Functional: PBE-GGA
Structure: relaxed

Structure (POSCAR):
```
YAl2Br
1.0
0.5283 -5.0758 -1.0554
-0.9260 -3.5424 3.7081
-4.2141 -3.0503 -0.3047
Y Al Br
1 2 1
Cartesian
-2.3059 -5.8343 1.1740
-1.1530 -2.9171 0.5870
-3.4589 -8.7514 1.7610
0.0000 0.0000 0.0000
```

Results
- symmetry = Fm-3m

Least stable: iii

i:
Compound: YAl2Br
Source: Alexandria
Functional: PBE-GGA
Structure: relaxed

Structure (POSCAR):
```
YAl2Br
1.0
-0.4730 0.1618 -3.9924
-0.1550 -3.5036 -0.1236
-7.9240 -1.4508 0.8800
Y Al Br
1 2 1
Cartesian
-6.4339 -4.2891 -1.4391
-0.6687 -2.8232 -0.0352
-0.9149 -0.9873 -1.9591
-4.7291 -2.6738 0.4519
```

Results
- symmetry = Pm

ii:
Compound: YAl2Br
Source: Alexandria
Functional: PBE-GGA
Structure: relaxed

Structure (POSCAR):
```
YAl2Br
1.0
6.0952 0.0082 0.0000
3.3609 5.0848 0.0000
-4.7280 -2.5465 2.8831
Y Al Br
1 2 1
Cartesian
3.0476 0.0041 1.4415
0.0000 0.0000 0.0000
4.7280 2.5465 0.0000
1.6804 2.5424 1.4415
```

Results
- symmetry = I4/mmm

iii:
Compound: YAl2Br
Source: Alexandria
Functional: PBE-GGA
Structure: relaxed

Structure (POSCAR):
```
YAl2Br
1.0
5.8991 0.0000 0.0000
0.0000 3.9734 0.0000
0.0000 0.0000 3.9734
Y Al Br
1 2 1
Cartesian
2.9495 0.0000 1.9867
0.0000 0.0000 0.0000
0.0000 1.9867 1.9867
2.9495 1.9867 0.0000
```

Results
- symmetry = P4/mmm

Least stable: iii

i:
Compound: YAl2Br
Source: Alexandria
Functional: PBE-GGA
Structure: relaxed

Structure (POSCAR):
```
YAl2Br
1.0
-3.6045 -0.3666 4.1867
1.1777 -4.7211 -2.6419
2.5435 -0.5633 2.1404
Y Al Br
1 2 1
Cartesian
1.8606 -2.6422 -0.2507
____________
- Input 784 - Conv 32 5x5 filters with max pooling - Conv 64 5x5 filters with max pooling - Fully connected 1024 - Output 10
Model number 4 was subsequently chosen as the classifier for the digit recognizer application.
Purpose of the project
I made this application as an attempt to understand neural networks better. This prompted me to make a neural network using only matrix multiplications in numpy which allowed me to more deeply understand the calculations required to perform classification with these models.
After I had made a simple neural network, I noticed I was restricted to a small architecture of neural networks, that is having few layers and few nodes in those layers. This was because everything was being calculated on the CPU.
As a result, I decided to implement neural networks using Tensorflow which utilized my GPU to perform calculations in parallel, thus significantly improving speed. This then allowed me to explore deeper structures and also computationally expensive architectures in particular the convolutional neural network (CNN).
This is the GPU that I currently have.
Modules used
Python 3
tKinter - for the GUI and canvas drawing application
Pillow - for saving the image and performing preprocessing such as filtering
numpy - for the arrays
tensorflow - fast calculation
pickle - to save weights after training
matplotlib - to visualize the dataset
Structure of the program
The canvas app talks to the neural network model to perform classification. By separating the canvas from the model, different models are able to be switched in easily. The neural network trainer then trains the specific neural network model by providing data in batches and performing optimization. After the neural network has been trained, the weights can be saved into a database.
• Between two parts of the text: materials data:
+++
The following is a PBE calculation of AcGa2BiPt5 after structural relaxation, from Alexandria.

Cell lengths 4.330, 4.330, 9.491 Å; angles 90.00, 90.00, 90.00 degrees
Positions (direct):
Ac1 0.000 0.000 0.000
Ga1 0.500 0.500 0.368
Ga2 0.500 0.500 0.632
Bi1 0.000 0.000 0.500
Pt1 0.000 0.500 0.234
Pt2 0.000 0.500 0.766
Pt3 0.500 0.000 0.234
Pt4 0.500 0.000 0.766
Pt5 0.500 0.500 0.000

Results
* symmetry: No. 123
* total moment: 0.0 μB/cell
* E_tot: -5.43 eV per atom
* mass density: 14.47 g cm⁻³


Entry 1:
Computed, not measured: a geometry-optimized Ca2ErO structure at the PBE level of DFT.

Cell lengths 3.463, 3.463, 9.739 Å; angles 79.76, 79.76, 60.00 degrees
Fractional coordinates of all 4 atoms:
1 Er 0.000 0.000 0.000
2 O 0.500 0.500 0.500
3 Ca 0.118 0.118 0.647
4 Ca 0.882 0.882 0.353

Properties
E_form (uncorrected) in eV/atom: -1.210
Total DFT energy (no corrections) in eV per atom: -4.591



Entry 2:
Computed, not measured: a geometry-optimized CaEr2O4 structure at the PBE level of DFT.

Cell lengths 3.351, 9.839, 11.735 Å; angles 90.00, 90.00, 90.00 degrees
Fractional coordinates of all 28 atoms:
1 O 0.750 0.497 0.788
2 O 0.250 0.923 0.919
3 Er 0.250 0.420 0.387
4 O 0.250 0.715 0.682
5 O 0.750 0.785 0.182
6 O 0.250 0.423 0.581
7 O 0.250 0.003 0.288
8 Er 0.750 0.575 0.112
9 Er 0.750 0.080 0.887
10 O 0.250 0.632 0.980
11 O 0.250 0.503 0.212
12 Er 0.250 0.425 0.888
13 O 0.750 0.868 0.480
14 Ca 0.750 0.244 0.647
15 Er 0.250 0.920 0.113
16 Er 0.750 0.580 0.613
17 Er 0.750 0.075 0.388
18 Ca 0.750 0.744 0.853
19 O 0.250 0.215 0.818
20 O 0.750 0.997 0.712
21 O 0.250 0.132 0.520
22 O 0.750 0.285 0.318
23 Ca 0.250 0.756 0.353
24 O 0.750 0.368 0.020
25 Ca 0.250 0.256 0.147
26 O 0.750 0.577 0.419
27 Er 0.250 0.925 0.612
28 O 0.750 0.077 0.081

Properties
Energy above the lowest structure with this stoichiometry in eV per atom: 0.025
E_form (uncorrected) in eV/atom: -3.390
Total DFT energy (no corrections) in eV per atom: -7.813



Entry 3:
Computed, not measured: a geometry-optimized CaEr2O4 structure at the PBE level of DFT.

Cell lengths 6.770, 6.770, 6.773 Å; angles 119.97, 119.97, 90.02 degrees
Fractional coordinates of all 14 atoms:
1 O 0.389 0.165 0.777
2 O 0.862 0.139 0.277
3 O 0.389 0.612 0.777
4 O 0.835 0.611 0.223
5 Ca 0.250 0.750 0.500
6 O 0.861 0.138 0.723
7 Er 0.125 0.375 0.750
8 Er 0.625 0.875 0.250
9 Er 0.625 0.375 0.250
10 O 0.861 0.585 0.723
11 Ca 0.000 0.000 0.000
12 Er 0.625 0.375 0.750
13 O 0.415 0.139 0.277
14 O 0.388 0.611 0.223

Properties
Energy above the lowest structure with this stoichiometry in eV per atom: 0.000
E_form (uncorrected) in eV/atom: -3.415
Total DFT energy (no corrections) in eV per atom: -7.838



Entry 4:
Computed, not measured: a geometry-optimized CaErO structure at the PBE level of DFT.

Cell lengths 3.468, 3.468, 5.953 Å; angles 90.00, 90.00, 120.00 degrees
Fractional coordinates of all 3 atoms:
1 O 0.667 0.333 0.338
2 Ca 0.000 0.000 0.095
3 Er 0.333 0.667 0.567

Properties
+++
Things to be improved
The application struggles with some digits such as the digit number 9. Also if the user does not draw the digit "nicely" in the box provided, the results can widely vary.
To improve this, perhaps better data preprocessing is required such as stretching the digit to fill the canvas. However, I believe the biggest improvements would be to use a larger database of digits containing skewed and digits of different sizes to account for all the different possible variations.